== Material ==
~~~
(1)
For Sr5Pt4, DFT lattice parameters and positions (PBE) gives the computed XRD peak list in this record (Cu Kα, 1.54184 Å).

Atomic structure:
```
data_Sr5Pt4
_chemical_formula_sum 'Sr20 Pt16'
_symmetry_space_group_name_H-M 'P n m a'
_symmetry_Int_Tables_number 62
_cell_length_a 7.888
_cell_length_b 15.604
_cell_length_c 8.137
_cell_angle_alpha 90.00
_cell_angle_beta 90.00
_cell_angle_gamma 90.00
loop_
_symmetry_equiv_pos_as_xyz
'x,y,z'
'-x,-y,-z'
'-x+1/2,-y,z+1/2'
'x+1/2,y,-z+1/2'
'x+1/2,-y+1/2,-z+1/2'
'-x+1/2,y+1/2,z+1/2'
'-x,y+1/2,-z'
'x,-y+1/2,z'
loop_
_atom_site_label
_atom_site_fract_x
_atom_site_fract_y
_atom_site_fract_z
_atom_site_occupancy
Sr1 0.014 0.097 0.181 1
Sr2 0.164 0.750 0.511 1
Sr3 0.173 0.121 0.674 1
Pt1 0.037 0.750 0.106 1
Pt2 0.157 0.541 0.474 1
Pt3 0.220 0.250 0.369 1
```

Principal peaks in the range 10° ≤ 2θ ≤ 80°, low angle first:
(hkl), 2θ/deg, Rel. int.
1 2 1, 19.4, 73
1 3 1, 23.2, 59
1 3 2, 30.1, 93
2 3 1, 30.5, 100
0 4 2, 31.8, 48
1 4 2, 33.8, 35
1 1 3, 35.5, 49
3 0 1, 35.9, 91
2 5 0, 36.7, 36
1 7 1, 43.6, 33


(2)
For Sr2Zr2Pt3, DFT lattice parameters and positions (PBE) gives the computed XRD peak list in this record (Cu Kα, 1.54184 Å).

Atomic structure:
```
data_Sr2Zr2Pt3
_chemical_formula_sum 'Sr6 Zr6 Pt9'
_symmetry_space_group_name_H-M 'R 3 m'
_symmetry_Int_Tables_number 160
_symmetry_space_group_name_Hall 'R 3 -2"'
_cell_length_a 4.9127
_cell_length_b 4.9127
_cell_length_c 24.0686
_cell_angle_alpha 90.00
_cell_angle_beta 90.00
_cell_angle_gamma 120.00
loop_
_atom_site_label
_atom_site_fract_x
_atom_site_fract_y
_atom_site_fract_z
_atom_site_occupancy
Sr1 0.0000 0.0000 0.0000 1
Sr2 0.0000 0.0000 0.4942 1
Zr1 0.0000 0.0000 0.2519 1
Zr2 0.0000 0.0000 0.7419 1
Pt1 0.0000 0.0000 0.3724 1
Pt2 0.0000 0.0000 0.6213 1
Pt3 0.0000 0.0000 0.8700 1
```

Principal peaks in the range 10° ≤ 2θ ≤ 80°, low angle first:
(hkl), 2θ/deg, Rel. int.
0 0 3, 11.0, 12
1 0 1, 21.2, 9
0 0 6, 22.2, 10
1 0 4, 25.6, 6
0 1 5, 28.0, 5
1 1 0, 36.6, 100
1 1 6, 43.2, 5
2 0 8, 52.7, 17
3 0 0, 65.9, 35
2 2 0, 77.8, 11


(3)
For Tb5Pt4, DFT lattice parameters and positions (PBE) gives the computed XRD peak list in this record (Cu Kα, 1.54184 Å).

Atomic structure:
```
data_Tb5Pt4
_chemical_formula_sum 'Tb20 Pt16'
_symmetry_space_group_name_H-M 'P n m a'
_symmetry_Int_Tables_number 62
_cell_length_a 7.502
_cell_length_b 14.706
_cell_length_c 7.586
_cell_angle_alpha 90.00
_cell_angle_beta 90.00
_cell_angle_gamma 90.00
loop_
_symmetry_equiv_pos_as_xyz
'x,y,z'
'-x,-y,-z'
'-x+1/2,-y,z+1/2'
'x+1/2,y,-z+1/2'
'x+1/2,-y+1/2,-z+1/2'
'-x+1/2,y+1/2,z+1/2'
'-x,y+1/2,-z'
'x,-y+1/2,z'
loop_
_atom_site_label
_atom_site_fract_x
_atom_site_fract_y
_atom_site_fract_z
_atom_site_occupancy
Tb1 0.007 0.093 0.179 1
Tb2 0.148 0.623 0.333 1
Tb3 0.191 0.250 0.487 1
Pt1 0.057 0.250 0.889 1
Pt2 0.171 0.750 0.643 1
Pt3 0.189 0.041 0.533 1
```

Principal peaks in the range 10° ≤ 2θ ≤ 80°, low angle first:
(hkl), 2θ/deg, Rel. int.
1 3 2, 32.1, 100
2 3 1, 32.3, 68
0 4 2, 34.0, 37
2 4 0, 34.2, 31
1 5 1, 34.8, 29
2 4 1, 36.2, 41
0 6 0, 36.7, 28
3 0 1, 37.9, 64
1 1 3, 38.0, 47
4 3 1, 53.7, 25


(4)
For TePt15, DFT lattice parameters and positions (PBE) gives the computed XRD peak list in this record (Cu Kα, 1.54184 Å).

Atomic structure:
```
data_TePt15
_chemical_formula_sum 'Te2 Pt30'
_symmetry_space_group_name_H-M 'P 1 m 1'
_symmetry_Int_Tables_number 6
_cell_length_a 7.801
_cell_length_b 2.854
_cell_length_c 32.448
_cell_angle_alpha 90.00
_cell_angle_beta 90.01
_cell_angle_gamma 90.00
loop_
_symmetry_equiv_pos_as_xyz
'x,y,z'
'x,-y,z'
loop_
_atom_site_label
_atom_site_fract_x
_atom_site_fract_y
_atom_site_fract_z
_atom_site_occupancy
Te1 0.000 0.000 0.000 1
Te2 0.250 0.500 0.651 1
Pt1 0.000 0.000 0.088 1
Pt2 0.000 0.000 0.175 1
Pt3 0.002 0.000 0.433 1
Pt4 0.003 0.000 0.519 1
Pt5 0.006 0.000 0.610 1
Pt6 0.244 0.500 0.041 1
Pt7 0.247 0.500 0.218 1
Pt8 0.248 0.500 0.132 1
Pt9 0.250 0.500 0.476 1
Pt10 0.250 0.500 0.563 1
Pt11 0.251 0.500 0.304 1
~~~

== Activity ==
Type out the contents further above from the line with "0.0000 0.4942" to the end character by character, please.

== Completed ==
Sr2 0.0000 0.0000 0.4942 1
Zr1 0.0000 0.0000 0.2519 1
Zr2 0.0000 0.0000 0.7419 1
Pt1 0.0000 0.0000 0.3724 1
Pt2 0.0000 0.0000 0.6213 1
Pt3 0.0000 0.0000 0.8700 1
```

Principal peaks in the range 10° ≤ 2θ ≤ 80°, low angle first:
(hkl), 2θ/deg, Rel. int.
0 0 3, 11.0, 12
1 0 1, 21.2, 9
0 0 6, 22.2, 10
1 0 4, 25.6, 6
0 1 5, 28.0, 5
1 1 0, 36.6, 100
1 1 6, 43.2, 5
2 0 8, 52.7, 17
3 0 0, 65.9, 35
2 2 0, 77.8, 11


(3)
For Tb5Pt4, DFT lattice parameters and positions (PBE) gives the computed XRD peak list in this record (Cu Kα, 1.54184 Å).

Atomic structure:
```
data_Tb5Pt4
_chemical_formula_sum 'Tb20 Pt16'
_symmetry_space_group_name_H-M 'P n m a'
_symmetry_Int_Tables_number 62
_cell_length_a 7.502
_cell_length_b 14.706
_cell_length_c 7.586
_cell_angle_alpha 90.00
_cell_angle_beta 90.00
_cell_angle_gamma 90.00
loop_
_symmetry_equiv_pos_as_xyz
'x,y,z'
'-x,-y,-z'
'-x+1/2,-y,z+1/2'
'x+1/2,y,-z+1/2'
'x+1/2,-y+1/2,-z+1/2'
'-x+1/2,y+1/2,z+1/2'
'-x,y+1/2,-z'
'x,-y+1/2,z'
loop_
_atom_site_label
_atom_site_fract_x
_atom_site_fract_y
_atom_site_fract_z
_atom_site_occupancy
Tb1 0.007 0.093 0.179 1
Tb2 0.148 0.623 0.333 1
Tb3 0.191 0.250 0.487 1
Pt1 0.057 0.250 0.889 1
Pt2 0.171 0.750 0.643 1
Pt3 0.189 0.041 0.533 1
```

Principal peaks in the range 10° ≤ 2θ ≤ 80°, low angle first:
(hkl), 2θ/deg, Rel. int.
1 3 2, 32.1, 100
2 3 1, 32.3, 68
0 4 2, 34.0, 37
2 4 0, 34.2, 31
1 5 1, 34.8, 29
2 4 1, 36.2, 41
0 6 0, 36.7, 28
3 0 1, 37.9, 64
1 1 3, 38.0, 47
4 3 1, 53.7, 25


(4)
For TePt15, DFT lattice parameters and positions (PBE) gives the computed XRD peak list in this record (Cu Kα, 1.54184 Å).

Atomic structure:
```
data_TePt15
_chemical_formula_sum 'Te2 Pt30'
_symmetry_space_group_name_H-M 'P 1 m 1'
_symmetry_Int_Tables_number 6
_cell_length_a 7.801
_cell_length_b 2.854
_cell_length_c 32.448
_cell_angle_alpha 90.00
_cell_angle_beta 90.01
_cell_angle_gamma 90.00
loop_
_symmetry_equiv_pos_as_xyz
'x,y,z'
'x,-y,z'
loop_
_atom_site_label
_atom_site_fract_x
_atom_site_fract_y
_atom_site_fract_z
_atom_site_occupancy
Te1 0.000 0.000 0.000 1
Te2 0.250 0.500 0.651 1
Pt1 0.000 0.000 0.088 1
Pt2 0.000 0.000 0.175 1
Pt3 0.002 0.000 0.433 1
Pt4 0.003 0.000 0.519 1
Pt5 0.006 0.000 0.610 1
Pt6 0.244 0.500 0.041 1
Pt7 0.247 0.500 0.218 1
Pt8 0.248 0.500 0.132 1
Pt9 0.250 0.500 0.476 1
Pt10 0.250 0.500 0.563 1
Pt11 0.251 0.500 0.304 1